Source.
┌──
[1]
The following is a theoretical PXRD pattern of Nd3UTl3S8. It was derived from a DFT-relaxed cell (GGA-PBE, Alexandria), using Cu Kα (λ = 1.5418 Å).
No peak broadening, texture or thermal motion is included.

Cell lengths 8.939, 8.939, 8.939 Å; angles 55.18, 55.18, 55.18 degrees
Fractional coordinates of all 15 atoms:
Nd (0.000, 0.500, 0.500)
Nd (0.500, 0.000, 0.500)
Nd (0.500, 0.500, 0.000)
U (0.000, 0.000, 0.000)
Tl (0.000, 0.000, 0.500)
Tl (0.000, 0.500, 0.000)
Tl (0.500, 0.000, 0.000)
S (0.224, 0.224, 0.748)
S (0.224, 0.748, 0.224)
S (0.252, 0.776, 0.776)
S (0.265, 0.265, 0.265)
S (0.735, 0.735, 0.735)
S (0.748, 0.224, 0.224)
S (0.776, 0.252, 0.776)
S (0.776, 0.776, 0.252)

Peak list (8 most intense, 2θ from 5° to 70°, in order of rising 2θ)
Position (°2θ)	I_rel
12.9	26
23.6	28
26.1	59
29.5	100
40.6	38
43.7	35
50.3	24
53.6	18

[2]
The following is a theoretical PXRD pattern of Nd3YTl2S. It was derived from a DFT-relaxed cell (GGA-PBE, Alexandria), using Cu Kα (λ = 1.5418 Å).
No peak broadening, texture or thermal motion is included.

Cell lengths 8.975, 8.975, 8.975 Å; angles 146.73, 145.77, 48.48 degrees
Fractional coordinates of all 7 atoms:
Nd (0.000, 0.000, 0.000)
Nd (0.327, 0.827, 0.500)
Nd (0.673, 0.173, 0.500)
Y (0.500, 0.500, 0.000)
Tl (0.130, 0.630, 0.500)
Tl (0.870, 0.370, 0.500)
S (0.500, 0.000, 0.500)

Peak list (8 most intense, 2θ from 5° to 70°, in order of rising 2θ)
Position (°2θ)	I_rel
24.2	52
26.5	55
32.4	28
32.7	100
32.8	20
33.9	43
34.9	39
49.5	29


For Nb5FeMo4, the PBE geometry in Alexandria gives the computed XRD peak list in this record (Cu Kα (λ = 1.5418 Å)).

Main lines, by angle (2θ from 10° to 90°):
| two_theta | d_spacing | intensity | (hkl) |
| --- | --- | --- | --- |
| 35.84 | 2.505 | 2 | 1 0 4 |
| 39.58 | 2.277 | 52 | 1 1 0 |
| 39.77 | 2.266 | 100 | 1 0 5 |
| 57.21 | 1.610 | 17 | 2 0 0 |
| 57.80 | 1.595 | 8 | 0 0 10 |
| 66.90 | 1.399 | 1 | 1 1 9 |
| 71.93 | 1.313 | 33 | 2 1 5 |
| 72.33 | 1.306 | 16 | 1 1 10 |
| 85.24 | 1.139 | 5 | 2 2 0 |
| 85.74 | 1.133 | 10 | 2 0 10 |

Structural model:
Cell lengths 3.2203, 3.2203, 15.9505 Å; angles 90.00, 90.00, 90.00 degrees
Space group P4/mmm (No. 123)
Asymmetric unit:
1 Nb 0.0000 0.0000 0.0000 x1
2 Nb 0.0000 0.0000 0.2040 x2
3 Nb 0.0000 0.0000 0.4053 x2
4 Fe 0.5000 0.5000 0.5000 x1
5 Mo 0.5000 0.5000 0.1014 x2
6 Mo 0.5000 0.5000 0.3056 x2



For NbFe8Mo3, the PBE geometry in Alexandria gives the computed XRD peak list in this record (Cu Kα (λ = 1.5418 Å)).

Main lines, by angle (2θ from 10° to 90°):
| two_theta | d_spacing | intensity | (hkl) |
| --- | --- | --- | --- |
| 38.30 | 2.350 | 50 | 1 1 0 |
| 41.10 | 2.196 | 100 | 1 0 3 |
| 44.52 | 2.035 | 13 | 2 0 0 |
| 45.00 | 2.014 | 96 | 1 1 2 |
| 46.09 | 1.969 | 75 | 0 2 1 |
| 71.16 | 1.325 | 34 | 2 1 3 |
| 73.95 | 1.282 | 20 | 0 3 2 |
| 76.84 | 1.241 | 26 | 0 2 5 |
| 82.02 | 1.175 | 24 | 2 2 0 |
| 89.18 | 1.098 | 11 | 2 0 6 |

Structural model:
Cell lengths 4.6996, 4.6996, 7.8256 Å; angles 90.00, 90.00, 120.00 degrees
Space group P3m1 (No. 156)
Asymmetric unit:
1 Nb 0.0000 0.0000 0.0000 x1
2 Fe 0.1631 0.3263 0.6816 x3
3 Fe 0.3333 0.6667 0.4320 x1
4 Fe 0.3333 0.6667 0.9330 x1
5 Fe 0.5042 0.0085 0.1841 x3
6 Mo 0.0000 0.0000 0.3673 x1
7 Mo 0.6667 0.3333 0.5006 x1
8 Mo 0.6667 0.3333 0.8560 x1



For NdFe10Mo2, the PBE geometry in Alexandria gives the computed XRD peak list in this record (Cu Kα (λ = 1.5418 Å)).

Main lines, by angle (2θ from 10° to 90°):
| two_theta | d_spacing | intensity | (hkl) |
| --- | --- | --- | --- |
| 36.46 | 2.465 | 42 | 1 0 3 |
| 36.67 | 2.451 | 47 | 1 3 0 |
| 38.13 | 2.360 | 30 | 2 0 0 |
| 41.67 | 2.167 | 32 | 0 0 4 |
| 42.01 | 2.151 | 49 | 0 4 0 |
| 42.26 | 2.138 | 85 | 1 2 3 |
| 42.37 | 2.133 | 60 | 1 3 2 |
| 43.71 | 2.071 | 100 | 2 2 0 |
| 48.77 | 1.867 | 38 | 2 2 2 |
| 71.77 | 1.315 | 28 | 3 2 3 |

Structural model:
Cell lengths 4.7206, 8.6028, 8.6692 Å; angles 90.00, 90.00, 90.00 degrees
Space group Immm (No. 71)
Asymmetric unit:
1 Nd 0.0000 0.0000 0.0000 x2
└──

Activity.
Could you write out everything above exactly?

Response.
[1]
The following is a theoretical PXRD pattern of Nd3UTl3S8. It was derived from a DFT-relaxed cell (GGA-PBE, Alexandria), using Cu Kα (λ = 1.5418 Å).
No peak broadening, texture or thermal motion is included.

Cell lengths 8.939, 8.939, 8.939 Å; angles 55.18, 55.18, 55.18 degrees
Fractional coordinates of all 15 atoms:
Nd (0.000, 0.500, 0.500)
Nd (0.500, 0.000, 0.500)
Nd (0.500, 0.500, 0.000)
U (0.000, 0.000, 0.000)
Tl (0.000, 0.000, 0.500)
Tl (0.000, 0.500, 0.000)
Tl (0.500, 0.000, 0.000)
S (0.224, 0.224, 0.748)
S (0.224, 0.748, 0.224)
S (0.252, 0.776, 0.776)
S (0.265, 0.265, 0.265)
S (0.735, 0.735, 0.735)
S (0.748, 0.224, 0.224)
S (0.776, 0.252, 0.776)
S (0.776, 0.776, 0.252)

Peak list (8 most intense, 2θ from 5° to 70°, in order of rising 2θ)
Position (°2θ)	I_rel
12.9	26
23.6	28
26.1	59
29.5	100
40.6	38
43.7	35
50.3	24
53.6	18

[2]
The following is a theoretical PXRD pattern of Nd3YTl2S. It was derived from a DFT-relaxed cell (GGA-PBE, Alexandria), using Cu Kα (λ = 1.5418 Å).
No peak broadening, texture or thermal motion is included.

Cell lengths 8.975, 8.975, 8.975 Å; angles 146.73, 145.77, 48.48 degrees
Fractional coordinates of all 7 atoms:
Nd (0.000, 0.000, 0.000)
Nd (0.327, 0.827, 0.500)
Nd (0.673, 0.173, 0.500)
Y (0.500, 0.500, 0.000)
Tl (0.130, 0.630, 0.500)
Tl (0.870, 0.370, 0.500)
S (0.500, 0.000, 0.500)

Peak list (8 most intense, 2θ from 5° to 70°, in order of rising 2θ)
Position (°2θ)	I_rel
24.2	52
26.5	55
32.4	28
32.7	100
32.8	20
33.9	43
34.9	39
49.5	29


For Nb5FeMo4, the PBE geometry in Alexandria gives the computed XRD peak list in this record (Cu Kα (λ = 1.5418 Å)).

Main lines, by angle (2θ from 10° to 90°):
| two_theta | d_spacing | intensity | (hkl) |
| --- | --- | --- | --- |
| 35.84 | 2.505 | 2 | 1 0 4 |
| 39.58 | 2.277 | 52 | 1 1 0 |
| 39.77 | 2.266 | 100 | 1 0 5 |
| 57.21 | 1.610 | 17 | 2 0 0 |
| 57.80 | 1.595 | 8 | 0 0 10 |
| 66.90 | 1.399 | 1 | 1 1 9 |
| 71.93 | 1.313 | 33 | 2 1 5 |
| 72.33 | 1.306 | 16 | 1 1 10 |
| 85.24 | 1.139 | 5 | 2 2 0 |
| 85.74 | 1.133 | 10 | 2 0 10 |

Structural model:
Cell lengths 3.2203, 3.2203, 15.9505 Å; angles 90.00, 90.00, 90.00 degrees
Space group P4/mmm (No. 123)
Asymmetric unit:
1 Nb 0.0000 0.0000 0.0000 x1
2 Nb 0.0000 0.0000 0.2040 x2
3 Nb 0.0000 0.0000 0.4053 x2
4 Fe 0.5000 0.5000 0.5000 x1
5 Mo 0.5000 0.5000 0.1014 x2
6 Mo 0.5000 0.5000 0.3056 x2



For NbFe8Mo3, the PBE geometry in Alexandria gives the computed XRD peak list in this record (Cu Kα (λ = 1.5418 Å)).

Main lines, by angle (2θ from 10° to 90°):
| two_theta | d_spacing | intensity | (hkl) |
| --- | --- | --- | --- |
| 38.30 | 2.350 | 50 | 1 1 0 |
| 41.10 | 2.196 | 100 | 1 0 3 |
| 44.52 | 2.035 | 13 | 2 0 0 |
| 45.00 | 2.014 | 96 | 1 1 2 |
| 46.09 | 1.969 | 75 | 0 2 1 |
| 71.16 | 1.325 | 34 | 2 1 3 |
| 73.95 | 1.282 | 20 | 0 3 2 |
| 76.84 | 1.241 | 26 | 0 2 5 |
| 82.02 | 1.175 | 24 | 2 2 0 |
| 89.18 | 1.098 | 11 | 2 0 6 |

Structural model:
Cell lengths 4.6996, 4.6996, 7.8256 Å; angles 90.00, 90.00, 120.00 degrees
Space group P3m1 (No. 156)
Asymmetric unit:
1 Nb 0.0000 0.0000 0.0000 x1
2 Fe 0.1631 0.3263 0.6816 x3
3 Fe 0.3333 0.6667 0.4320 x1
4 Fe 0.3333 0.6667 0.9330 x1
5 Fe 0.5042 0.0085 0.1841 x3
6 Mo 0.0000 0.0000 0.3673 x1
7 Mo 0.6667 0.3333 0.5006 x1
8 Mo 0.6667 0.3333 0.8560 x1



For NdFe10Mo2, the PBE geometry in Alexandria gives the computed XRD peak list in this record (Cu Kα (λ = 1.5418 Å)).

Main lines, by angle (2θ from 10° to 90°):
| two_theta | d_spacing | intensity | (hkl) |
| --- | --- | --- | --- |
| 36.46 | 2.465 | 42 | 1 0 3 |
| 36.67 | 2.451 | 47 | 1 3 0 |
| 38.13 | 2.360 | 30 | 2 0 0 |
| 41.67 | 2.167 | 32 | 0 0 4 |
| 42.01 | 2.151 | 49 | 0 4 0 |
| 42.26 | 2.138 | 85 | 1 2 3 |
| 42.37 | 2.133 | 60 | 1 3 2 |
| 43.71 | 2.071 | 100 | 2 2 0 |
| 48.77 | 1.867 | 38 | 2 2 2 |
| 71.77 | 1.315 | 28 | 3 2 3 |

Structural model:
Cell lengths 4.7206, 8.6028, 8.6692 Å; angles 90.00, 90.00, 90.00 degrees
Space group Immm (No. 71)
Asymmetric unit:
1 Nd 0.0000 0.0000 0.0000 x2